Activity:
Now reproduce the part of the rows further below that starts with the line with "computed polymorph:" and stops after the one with "With the".

File:
********
A PBEsol-optimized structure of Zn2Au3. Source: the Alexandria database, functional meta-GGA SCAN.

Properties
- N(E_F): 2.5 states/eV/cell
- ΔE to the lowest computed polymorph: 0.00 kcal/mol of atoms
- DFT total energy: -47.128 eV/atom

a = 7.0655 Å, b = 5.3456 Å, c = 8.1054 Å
α = 59.22°, β = 40.54°, γ = 80.24°
With the nearest neighbours (Å) after each atom.
Atoms (fractional coordinates):
Zn  0.0195  0.4805  0.0783  8 Au 2.66-2.88, 2 Zn 2.89
Zn  0.1717  0.8283  0.2305  8 Au 2.66-2.88, 2 Zn 2.89
Zn  0.4805  0.0195  0.4217  8 Au 2.66-2.88, 2 Zn 2.89
Zn  0.8283  0.1717  0.7695  8 Au 2.66-2.88, 2 Zn 2.89
Au  0.0554  0.0554  0.9446  6 Zn 2.67-2.88, 6 Au 2.85-2.97
Au  0.3054  0.3054  0.1946  6 Zn 2.67-2.88, 6 Au 2.85-2.97
Au  0.4890  0.5973  0.3055  5 Zn 2.66-2.83, 6 Au 2.74-2.97
Au  0.5973  0.4890  0.6082  5 Zn 2.66-2.83, 6 Au 2.74-2.97
********

Outcome:
- ΔE to the lowest computed polymorph: 0.00 kcal/mol of atoms
- DFT total energy: -47.128 eV/atom

a = 7.0655 Å, b = 5.3456 Å, c = 8.1054 Å
α = 59.22°, β = 40.54°, γ = 80.24°
With the nearest neighbours (Å) after each atom.